**Job:**
The reader should count the lines underneath that contain the word "DFT" and give the number alone.
**File:**
- - -
<one>
Molecular formula: C4H5FN2O
Method: DFT, ωB97M-V/def2-TZVPD

The geometry in XYZ format:
```
13
Properties=species:S:1:pos:R:3:lowdin_charge:R:1
C -2.20 -0.57 0.09 0.0127
C -0.27 0.61 -0.12 -0.4165
C 0.55 -0.56 -0.11 -0.0203
C 1.76 -0.17 -0.04 -0.3470
H -3.16 -0.26 0.31 0.0385
H -2.21 -1.34 -0.71 0.0890
H -1.36 -0.88 1.13 0.1963
H 0.24 -1.54 -0.33 0.1019
H 2.76 1.75 0.07 0.2328
N 1.81 1.16 0.09 0.0120
N 0.59 1.67 -0.06 0.0884
O -1.56 0.79 -0.23 -0.0585
F 3.04 -0.65 -0.09 0.0708
```

Its gap between HOMO and LUMO is 0.3446 Eh. The value obtained for the LUMO energy is 0.80 eV. Its net charge is 0.



<two>
Molecular formula: C4H5FN2O
Method: DFT, ωB97M-V/def2-TZVPD

The geometry in XYZ format:
```
13
Properties=species:S:1:pos:R:3:lowdin_charge:R:1
C -1.16 0.64 0.04 -0.5660
C -0.25 -0.49 -0.23 -0.1953
C 1.06 -0.61 -0.29 0.0189
C 2.03 0.38 0.21 -0.2467
H -2.76 -1.35 0.42 0.2915
H -3.71 0.43 0.23 0.2564
H -0.55 2.10 -1.11 0.0534
H 1.51 -1.65 -0.53 0.1658
H 1.79 1.35 0.68 0.1254
N -2.22 0.10 0.71 -0.0264
N -1.25 1.84 -0.42 0.1448
O 3.25 0.21 0.22 0.0238
F -0.91 -1.74 -0.21 -0.0455
```

Its gap between HOMO and LUMO is 0.3065 Eh. The value obtained for the LUMO energy is -1.45 eV. Its net charge is 0.



Bottom line: <one>, by a margin of 406.2 kJ/mol.



<one>
Molecular formula: C3H11N3
Method: DFT, ωB97M-V/def2-TZVPD

The geometry in XYZ format:
```
17
Properties=species:S:1:pos:R:3:lowdin_charge:R:1
C -1.74 -1.17 0.36 -0.1268
N -1.05 -0.25 -0.53 -0.1341
H -1.60 0.46 -0.99 0.1117
H -0.75 1.15 0.48 0.1496
H -2.29 -0.61 1.12 0.0692
H -2.46 -1.77 -0.22 0.0710
H -1.09 -1.88 0.87 0.0720
C 1.29 -1.09 -0.06 -0.0697
N 0.90 2.35 -0.09 -0.0447
C 0.41 0.07 -0.48 -0.4521
N 0.40 1.12 0.52 -0.1193
H 0.80 3.12 0.59 0.0613
H 1.91 2.28 -0.24 0.0617
H 0.68 0.40 -1.49 0.1299
H 2.34 -0.80 -0.14 0.0739
H 1.12 -1.39 0.98 0.0681
H 1.12 -1.97 -0.69 0.0781
```

Its gap between HOMO and LUMO is 0.3209 Eh. The value obtained for the LUMO energy is 1.19 eV. Its net charge is 0.



<two>
Molecular formula: C3H11N3
Method: DFT, ωB97M-V/def2-TZVPD

The geometry in XYZ format:
```
17
Properties=species:S:1:pos:R:3:lowdin_charge:R:1
C -2.02 -0.17 0.53 -0.0074
C -0.58 -1.80 -0.37 0.0061
C -0.14 1.74 -0.32 -0.1656
N 3.01 -0.54 0.18 0.0040
N -0.77 -0.52 -0.15 -0.3025
N 0.10 0.35 -0.54 -0.0865
H -2.86 -0.28 -0.16 0.1016
H -2.17 -0.84 1.38 0.0939
H -2.00 0.85 0.90 0.0700
H -1.30 -2.51 -0.03 0.0593
H 0.32 -2.11 -0.86 0.0677
H 3.23 0.07 0.96 -0.0041
H -1.04 2.11 -0.81 0.0723
H -0.19 2.01 0.75 0.0707
H 0.72 2.26 -0.75 0.0702
H 3.62 -0.28 -0.59 -0.0019
H 2.06 -0.32 -0.12 -0.0479
```

Its gap between HOMO and LUMO is 0.3027 Eh. The value obtained for the LUMO energy is 0.86 eV. Its net charge is 0.



<three>
Molecular formula: C3H11N3
Method: DFT, ωB97M-V/def2-TZVPD

The geometry in XYZ format:
```
17
Properties=species:S:1:pos:R:3:lowdin_charge:R:1
C -1.80 1.19 0.08 -0.0563
C -1.84 -0.32 0.02 -0.5905
N -0.58 -0.91 -0.03 -0.0191
N -2.97 -0.90 -0.02 0.0973
H 0.71 -0.18 -0.68 0.1369
H -0.59 -1.92 0.02 0.0770
H -2.88 -1.92 -0.05 0.0328
H -1.25 1.59 -0.78 0.0736
H -1.29 1.53 0.98 0.0733
H -2.81 1.58 0.06 0.0698
C 1.79 0.38 -0.20 -0.2626
N 2.84 -0.61 -0.03 -0.0594
H 2.70 -1.15 0.82 0.0595
H 3.76 -0.19 0.02 0.0606
H 1.71 1.16 0.57 0.0896
H 1.97 0.94 -1.13 0.0885
H 0.52 -0.29 0.35 0.1291
```

Its gap between HOMO and LUMO is 0.3543 Eh. The value obtained for the LUMO energy is 0.79 eV. Its net charge is 0.



Bottom line: <one>, by a margin of 13.7 kJ/mol.



<one>
Molecular formula: C3H11N3
Method: DFT, ωB97M-V/def2-TZVPD

The geometry in XYZ format:
```
17
Properties=species:S:1:pos:R:3:lowdin_charge:R:1
C -0.69 -0.59 0.44 -0.6387
C 2.00 1.59 -1.03 -0.1747
C -1.97 -1.37 0.15 -0.0661
N 0.42 -1.05 -0.24 0.1056
N 0.82 0.76 -0.88 -0.0834
N -0.53 -0.30 1.86 0.0400
H 1.22 -1.17 0.38 0.0715
H 0.53 0.45 -1.82 0.0644
H -0.71 0.47 -0.13 0.1368
H -1.38 0.07 2.25 0.0657
H 0.20 0.39 1.99 0.0612
H 2.83 1.04 -1.50 0.0692
H 1.79 2.46 -1.65 0.0785
H 2.33 1.93 -0.04 0.0617
- - -
**Response:**
6